Fashion news

Why aren't more brands doing these things?


The fashion industry has always been famously slow to adopt new technology, and while most fashion brands at least now have an e-commerce component (that's right, most), many of them seem to feel like that alone is enough to bring them success in the modern age. In reality, though, most of them are not doing nearly as much as they could be to engage with and facilitate shopping for their customers through digital technology.

A new study released by NewStore, a mobile retail platform, details all of the ways in which brands could utilize mobile capabilities to their direct benefit, but aren't. In today's challenging retail landscape, you would think that retailers would be exhausting every possible avenue to improve the customer experience drive sales, but whether it's a reluctance, a lack of awareness and education, or a lack of resources to dedicate to technology, many of them don't. NewStore studied 140 luxury, lifestyle and apparel brands and gave them a collective grade of C+ on their "customer journey."

"It seems that many brands have checked the box on mobile by simply offering an optimized web experience or native app," the introduction reads. "In reality, they are only scratching the surface and are missing the potential revenue impact that mobile can deliver, especially in the context of omnichannel and enabling the customer to become the point of sale."

Read on for eight things that only a minority percentage of retailers are doing with mobile, and why more of them should be. It is worth noting that this study was put out by a mobile retail platform that stands to benefit from telling brands they should do more with mobile. But still, it has some good points.


NewStore cites a statistic from Digital Commerce 360 that consumers are three times more likely to purchase from an app than a mobile website. Part of the reason is surely that if someone takes the time to download a retailer's app, they are likely an existing/repeat customer. Still, retailers are missing out by not offering one at all for their loyal customers.

........
1.
# RbAuO3
Calculated X-ray powder pattern, Cu Kα (weighted mean of Kα1 and Kα2). Input: a crystal structure in the Materials Project, relaxed with PBE.
No peak broadening, texture or thermal motion is included.

Atomic structure:
```
RbAuO3
1.0
4.2173 0.0000 0.0000
0.0000 4.2173 0.0000
0.0000 0.0000 4.2173
Rb Au O
1 1 3
Cartesian
0.0000 0.0000 0.0000
2.1087 2.1087 2.1087
0.0000 2.1087 2.1087
2.1087 0.0000 2.1087
2.1087 2.1087 0.0000
```

Most intense lines, 2θ = 10–90°, by angle:
21.07 deg, I 27
29.96 deg, I 100
42.89 deg, I 29
53.20 deg, I 41
62.27 deg, I 18
86.31 deg, I 23

2.
# AuSO4
Calculated X-ray powder pattern, Cu Kα (weighted mean of Kα1 and Kα2). Input: a crystal structure in the Materials Project, relaxed with PBE.
No peak broadening, texture or thermal motion is included.

Atomic structure:
```
AuSO4
1.0
8.5319 0.0000 0.0000
0.0000 10.5978 0.0000
0.0000 0.0000 8.7913
Au S O
8 8 32
Cartesian
0.4570 0.1685 1.1763
0.4570 5.1304 5.5719
3.8090 5.4674 1.1763
3.8090 10.4293 5.5719
4.7229 0.1685 3.2194
4.7229 5.1304 7.6150
8.0749 5.4674 3.2194
8.0749 10.4293 7.6150
1.9657 1.4661 3.7030
1.9657 3.8328 8.0986
2.3002 6.7650 3.7030
2.3002 9.1317 8.0986
6.2317 1.4661 0.6927
6.2317 3.8328 5.0884
6.5662 6.7650 0.6927
6.5662 9.1317 5.0884
1.0007 6.8514 2.8802
1.0007 9.0453 7.2758
1.1628 0.2892 3.2278
1.1628 5.0097 7.6235
1.2967 2.5664 8.0258
1.2967 2.7325 3.6301
1.9471 6.4634 5.1656
1.9471 9.4333 0.7699
2.3188 1.1645 5.1656
2.3188 4.1344 0.7699
2.9692 7.8653 8.0258
2.9692 8.0314 3.6301
3.1031 5.5881 3.2278
3.1031 10.3086 7.6235
3.2653 1.5525 2.8802
3.2653 3.7464 7.2758
5.2666 6.8514 1.5155
5.2666 9.0453 5.9111
5.4288 0.2892 1.1678
5.4288 5.0097 5.5635
5.5627 2.5664 5.1612
5.5627 2.7325 0.7656
6.2131 6.4634 8.0214
6.2131 9.4333 3.6257
6.5848 1.1645 8.0214
6.5848 4.1344 3.6257
7.2352 7.8653 5.1612
7.2352 8.0314 0.7656
7.3691 5.5881 1.1678
7.3691 10.3086 5.5635
7.5312 1.5525 1.5155
7.5312 3.7464 5.9111
```

Most intense lines, 2θ = 10–90°, by angle:
16.73 deg, I 100
24.67 deg, I 18
26.83 deg, I 18
29.18 deg, I 15
33.42 deg, I 19
41.45 deg, I 20

3.
# Au2Se2O7
Calculated X-ray powder pattern, Cu Kα (weighted mean of Kα1 and Kα2). Input: a crystal structure in the Materials Project, relaxed with PBE.
No peak broadening, texture or thermal motion is included.

Atomic structure:
```
Au2Se2O7
1.0
7.2574 0.0000 0.0000
0.0000 11.5875 0.0000
0.0000 0.0000 4.2976
Au Se O
4 4 14
Cartesian
1.4055 0.7346 0.0000
2.2231 6.5284 0.0000
5.0342 5.0591 0.0000
5.8518 10.8529 0.0000
0.7401 3.8046 3.2488
2.8886 9.5984 3.2488
4.3688 1.9891 3.2488
6.5173 7.7829 3.2488
0.0000 0.0000 1.2074
0.2715 2.4246 4.2302
0.8755 7.2471 2.8922
1.1862 4.8099 0.3153
2.4425 10.6036 0.3153
2.7532 1.4534 2.8922
3.3572 8.2183 4.2302
3.6287 5.7938 1.2074
3.9002 3.3692 4.2302
4.5042 10.1341 2.8922
4.8149 0.9839 0.3153
6.0711 6.7776 0.3153
6.3819 4.3404 2.8922
6.9859 9.1629 4.2302
```

Most intense lines, 2θ = 10–90°, by angle:
19.61 deg, I 33
20.67 deg, I 100
25.77 deg, I 71
28.64 deg, I 44
........


The percentage of retailers who "empower their store associates to use smartphones or tablets" is just over the halfway mark at 51 percent, but only 25 percent have real-time inventory information. Not forcing associates to check a POS or stock room when customers have questions can make a big difference as many shoppers lose patience quickly (myself included — a few too many minutes of wait time and I'm rethinking my choice entirely).


As they're browsing online, many shoppers want to see what's available at their nearest store, but only 30 percent of brands offer that.


Yes, excessive push notifications can be annoying for phone owners, but when they're personalized and done right, they can be effective. And yet, only 3 percent of brands use them to send personalized notifications. In general, personalized customer service should be a huge priority for brands: Clienteling should exist online, too.

=====
No. 1
Simulated powder diffraction line list
Compound: Nb6V3Ni3C2
Radiation: λ = 1.5418 Å (Cu Kα)
Structure: the GGA-PBE geometry in Alexandria
Lines closer than 0.1° are merged.

Crystal structure
Lattice parameters (Å, degrees): 8.1969 8.1969 8.1969 120.15 119.97 89.90
Atoms (fractional coordinates):
Nb (0.0000, 0.0000, 0.0000)
Nb (0.2453, 0.1243, 0.5009)
Nb (0.2453, 0.7444, 0.1210)
Nb (0.2493, 0.7493, 0.5000)
Nb (0.3741, 0.3751, 0.3807)
Nb (0.3741, 0.9933, 0.9989)
Nb (0.3787, 0.3787, 0.0000)
Nb (0.6233, 0.1243, 0.8790)
Nb (0.6233, 0.7444, 0.4991)
Nb (0.6305, 0.1305, 0.5000)
Nb (0.9944, 0.3751, 0.0011)
Nb (0.9944, 0.9933, 0.6193)
V (0.0167, 0.3544, 0.6623)
V (0.3135, 0.5658, 0.7477)
V (0.6921, 0.3544, 0.3377)
V (0.8122, 0.0538, 0.2416)
V (0.8122, 0.5706, 0.7584)
V (0.8181, 0.5658, 0.2523)
Ni (0.0136, 0.3593, 0.3457)
Ni (0.0136, 0.6679, 0.6543)
Ni (0.6063, 0.4483, 0.8420)
Ni (0.6063, 0.7643, 0.1580)
Ni (0.6071, 0.7616, 0.8455)
Ni (0.9160, 0.7616, 0.1545)
C (0.3090, 0.0606, 0.7516)
C (0.3090, 0.5574, 0.2484)
C (0.3101, 0.0605, 0.2496)
C (0.8109, 0.0605, 0.7504)

Principal peaks in the range 15 to 90 degrees two-theta, sorted by position:
2theta, d (Å), Rel. int.
30.86, 2.897, 7
33.71, 2.659, 17
38.04, 2.365, 44
40.45, 2.230, 100
44.19, 2.049, 18
47.03, 1.932, 7
56.70, 1.623, 7
68.69, 1.366, 30
68.84, 1.364, 10
82.82, 1.165, 10

---

No. 2
Simulated powder diffraction line list
Compound: Cd2Pb7
Radiation: λ = 1.5418 Å (Cu Kα)
Structure: the GGA-PBE geometry in Alexandria
Lines closer than 0.1° are merged.

Crystal structure
Lattice parameters (Å, degrees): 5.9755 5.9755 8.7561 90.00 90.00 120.00
Atoms (fractional coordinates):
Cd (0.3333, 0.6667, 0.0000)
Cd (0.6667, 0.3333, 0.0000)
Pb (0.0000, 0.0000, 0.0000)
Pb (0.0000, 0.3336, 0.6772)
Pb (0.0000, 0.6664, 0.3228)
Pb (0.3336, 0.0000, 0.6772)
Pb (0.3336, 0.3336, 0.3228)
Pb (0.6664, 0.0000, 0.3228)
Pb (0.6664, 0.6664, 0.6772)

Principal peaks in the range 15 to 90 degrees two-theta, sorted by position:
2theta, d (Å), Rel. int.
30.63, 2.919, 35
31.64, 2.828, 100
36.41, 2.468, 67
51.77, 1.766, 26
53.09, 1.725, 23
61.36, 1.511, 14
62.55, 1.485, 28
63.14, 1.473, 14
66.09, 1.414, 12
87.00, 1.120, 13

---

No. 3
Simulated powder diffraction line list
Compound: Mn3Ni2
Radiation: λ = 1.5418 Å (Cu Kα)
Structure: the GGA-PBE geometry in Alexandria
Lines closer than 0.1° are merged.

Crystal structure
Lattice parameters (Å, degrees): 2.4711 2.4711 30.6682 90.00 90.00 120.00
Atoms (fractional coordinates):
Mn (0.0000, 0.0000, 0.0000)
Mn (0.0000, 0.0000, 0.1980)
Mn (0.0000, 0.0000, 0.8020)
Mn (0.3333, 0.6667, 0.4686)
Mn (0.3333, 0.6667, 0.6667)
Mn (0.3333, 0.6667, 0.8647)
Mn (0.6667, 0.3333, 0.1353)
Mn (0.6667, 0.3333, 0.3333)
Mn (0.6667, 0.3333, 0.5314)
Ni (0.0000, 0.0000, 0.4002)
Ni (0.0000, 0.0000, 0.5998)
Ni (0.3333, 0.6667, 0.0668)
Ni (0.3333, 0.6667, 0.2665)
Ni (0.6667, 0.3333, 0.7335)
Ni (0.6667, 0.3333, 0.9332)

Principal peaks in the range 15 to 90 degrees two-theta, sorted by position:
=====


It seems like chatbots are one of the biggest trends in online retail given how much I read and hear about them, but only 24 percent of the brands studied have a chat function.


Another big retail buzz-phrase lately is "buy online, pick up in store" which NewStore even abbreviates to BYOPIS, lol. People love convenience and this is another way to offer it; and yet, only 18 percent do through mobile.


A lot more brands accept Apple Pay now than did a year ago, but that percentage is still only 34 percent of those studied.


Another thing retailers can apparently do is make it appear that they're never out of stock, which requires the ability to locate items at various stores, not just at its e-commerce distribution centers. Only 19 percent can do this.
